Friday, July 28, 2006

Debt Free at Last!

So I just agreed to sell my car. In that single deal, I'll make enough to pay off my school loans. At that point, I'll be completely debt free. It's kind of weird. I've carried debt in one way or another since 1995. Anything I make from here on out will be pure profit (less living expenses of course.) Here's the odd part...being debt free lowers your credit score. It's a crazy world folks...just plain crazy.

Wednesday, July 26, 2006

(Misplaced quantum chemistry results)
┌──
Density functional theory data (the ωB97M-V functional and the def2-TZVPD basis) for C4H6O2 as an isolated structure.

Summary:
Highest occupied orbital energy (Eh): -0.3573
Kohn-Sham gap (eV): 10.6196
2S+1: 1
Energy (hartree): -306.436172

```
12
Properties=species:S:1:pos:R:3:forces:R:3
O 2.498880 -0.638236 -0.105046 -0.3269 0.3311 0.3122
C 1.756081 0.066382 0.534830 0.2351 -0.1972 -0.2593
C 0.431007 0.568416 0.010488 0.2370 0.0466 -0.1479
C -0.405622 -0.402323 -0.828613 -0.0046 -0.0947 -0.1070
C -1.478710 -0.136858 0.236373 -0.3536 -0.1644 -0.0933
O -0.555957 0.613999 1.050282 0.0180 0.0778 0.1350
H 1.997958 0.393649 1.567657 -0.0062 -0.0551 -0.0864
H 0.581307 1.558417 -0.449381 0.0325 -0.1215 0.0748
H -0.000485 -1.416640 -0.828633 -0.0612 0.1557 -0.0123
H -0.637927 -0.097407 -1.850000 0.0458 -0.0276 0.1785
H -1.880635 -1.007252 0.765237 0.0792 0.1424 -0.0439
H -2.305901 0.497852 -0.103195 0.1049 -0.0931 0.0495
```
Positions in Å, forces in eV/Å.

***

Density functional theory data (the ωB97M-V functional and the def2-TZVPD basis) for C10H11Br2O3SW as an isolated structure at a distorted geometry.

Summary:
Highest occupied orbital energy (Eh): -0.4666
Kohn-Sham gap (eV): 7.4514
2S+1: 1
Energy (hartree): -6226.482359
Net charge: +1

```
28
Properties=species:S:1:pos:R:3:forces:R:3
W -1.631464 -2.481766 0.049038 -0.3184 0.5594 0.8265
C 0.573811 4.870535 -0.146568 -0.0544 -0.1111 -0.0134
O -0.375849 3.792215 -0.204761 0.0061 0.1289 0.0002
C 0.046917 2.544386 -0.157760 0.0032 -0.0034 0.0111
C 1.405485 2.175838 -0.049014 -0.0477 0.0132 -0.0409
C 1.724794 0.853533 -0.000814 -0.0177 -0.0478 0.0398
C 0.752916 -0.183864 -0.050773 -0.0018 0.2325 0.0124
C 1.173462 -1.527821 0.024775 -0.1932 0.0829 -0.0153
C 2.571718 -2.019636 0.128237 0.1274 0.1452 -0.0003
O 0.314342 -2.477866 0.015933 0.5090 -0.2895 -0.6923
C -0.623352 0.233097 -0.193316 -0.0482 -0.2387 0.0657
O -1.669588 -0.605177 -0.339663 -0.0301 0.0252 -0.5507
C -0.947657 1.564867 -0.228839 0.1107 0.1370 -0.0046
H -0.017352 5.775999 -0.210110 -0.0112 0.0175 0.0036
H 1.260462 4.816805 -0.990190 0.0111 0.0072 -0.0101
H 1.117604 4.846657 0.796633 0.0094 0.0053 0.0142
H 2.184782 2.920311 -0.009658 -0.0048 0.0062 0.0219
H 2.767870 0.592860 0.090012 -0.0165 -0.0102 -0.0011
H 3.318970 -1.237695 0.160026 0.0176 -0.0287 -0.0085
H 2.768506 -2.670065 -0.725272 -0.0236 -0.0219 0.0039
H 2.651135 -2.629218 1.029565 -0.0137 -0.0228 -0.0110
H -1.982182 1.857817 -0.331714 -0.0015 0.0118 -0.0131
Br -4.287120 -2.465597 -0.025627 0.1012 0.0802 -0.1717
C -3.125670 -3.989184 0.422197 -0.9444 0.2169 -0.4393
Br -1.621980 -3.289995 -2.295826 0.1726 -0.3907 -0.0506
H -3.349488 -4.755363 -0.311423 0.2329 -0.0485 -0.0708
H -3.404230 -4.264069 1.428440 0.2068 -0.1379 0.0658
S -1.596844 -2.247591 2.126471 0.2190 -0.3184 1.0287
```
Positions in Å, forces in eV/Å.

***

Density functional theory data (the ωB97M-V functional and the def2-TZVPD basis) for C21H25BN12O3STi as an isolated structure.

Summary:
└──

Fun with Foreign Languages

Can you read Hangul? Recently, I've been trying to absorb as much Hangul as possible while practicing some basic Korean phrases. Here are a few of the brillant topics I can discuss:

1. Kim Bop chu-se-yo (I would like some Kim Bop)
2. Yong-o-rul hahl-jool asim-nika (Do you speak English?)
3. Gaum-sa ham-nida (Thank You)
4. Hwa-jung-shil aw-dee e-saw-yo (Where is the bathroom?)

So to sum up, I'll be living in a bathroom, asking about speaking English and eating Kim Bop...but I'll be thankful for it, so I got that going for me.

Monday, July 24, 2006

Paper or Plastic?

It's official. Credit card companies are trying to kill cash. It's pretty brilliant actually. Start with this generation of kids and slowly move everyone to a plastic-only economy. They forgot one little stopped playing Monopoly somewhere around 1986. I'd be surprised if kids these days could even fathom the subject matter. Now, if you could somehow work a credit card into Pokemon or those ignorant Bratz dolls, then you'd have something!

Sky News: Monopoly Takes A Chance On Plastic

Saturday, July 22, 2006

Ipod Hacksmithing

When I get my Ipod, I'm going to mod the hell out of it to remove all that Apple-we-made-this-and-you-have-to-use-our-stuff crap. Normally, I wouldn't get an Ipod, but how can I turn it down if it's free? Among my ambitious Ipodly hackering: Custom disconnect screen, Winamp interface (intead of stupid I-tunes,) custom labels and Mp3 2-way transfer. I'll let you all know how it goes.

HOW-TO: Hacking the iPod firmware (changing the graphics) - Engadget

Friday, July 14, 2006

About 2 Months Left!

I wish I knew exactly when I was leaving so I could do a countdown. It's creeping up so slowly for me. I still have a bunch of stuff to sell before I leave, so I guess it's for the best. Anyone want to buy some used electronics?

Tuesday, July 04, 2006

Even Better Than Anti-American

## The page is interrupted by quantum chemistry results
~~~
Arrangement A

Density functional theory data (ωB97M-V/def2-TZVPD) for the molecule C4H5NO2.

Each line ends with the Löwdin charge.
Element x y z (Å)
O 1.579 1.563 0.686  0.08
C 1.946 0.466 0.349  -0.14
C 0.968 -0.663 0.017  -0.43
O 1.341 -1.705 -0.481  0.10
N -0.303 -0.380 0.427  -0.03
C -1.490 -0.667 -0.324  -0.07
C -1.101 0.749 0.029  -0.09
H 3.010 0.192 0.238  0.13
H -2.327 -1.108 0.206  0.11
H -1.305 -1.131 -1.295  0.12
H -0.749 1.442 -0.734  0.12
H -1.568 1.242 0.882  0.11

LUMO level = -0.25 eV
total charge = 0
Kohn-Sham gap = 9.7 eV
HOMO energy = -9.945 eV
2S+1 = 1
molecular weight = 99.1 Da
SMILES = O=CC(=O)N1CC1

***

Arrangement B

Density functional theory data (ωB97M-V/def2-TZVPD) for the molecule C4H5NO2.

Each line ends with the Löwdin charge.
Element x y z (Å)
N 0.950 1.602 0.718  0.13
C 0.299 0.508 0.221  -0.27
C -0.963 0.305 -0.170  0.00
C -1.162 -1.167 -0.313  -0.16
O 0.160 -1.719 -0.399  0.04
C 1.050 -0.748 -0.086  -0.43
O 2.245 -0.873 -0.167  0.13
H 0.643 2.505 0.392  0.10
H 1.945 1.489 0.832  0.10
H -1.760 -1.410 -1.190  0.12
H -1.719 1.025 -0.449  0.11
H -1.623 -1.612 0.580  0.13

LUMO level = 0.81 eV
total charge = 0
Kohn-Sham gap = 9.7 eV
HOMO energy = -8.851 eV
2S+1 = 1
molecular weight = 99.1 Da
SMILES = NC1=CCOC1=O

***

Going by the energies, arrangement B is most stable and the next is 144.0 kJ/mol up.

***

Arrangement A

Density functional theory data (ωB97M-V/def2-TZVPD) for the molecule C3H4N2O3.

Each line ends with the Löwdin charge.
Element x y z (Å)
C -1.306 -0.355 0.112  -0.40
C -0.586 0.807 0.260  0.04
C 0.750 0.368 0.162  -0.42
H -3.105 0.263 -0.091  0.13
H -0.965 1.834 0.205  0.12
H 1.782 1.876 -0.323  0.08
H 2.190 -0.972 -0.557  0.09
N 1.886 0.867 -0.119  0.13
N 0.745 -1.029 0.530  -0.07
O -2.596 -0.538 -0.101  0.17
O 1.751 -1.701 -0.045  0.03
O -0.547 -1.420 -0.032  0.10

LUMO level = 0.29 eV
total charge = 0
Kohn-Sham gap = 9.3 eV
HOMO energy = -9.043 eV
2S+1 = 1
molecular weight = 116.1 Da
SMILES = [H]/N=c1\cc(O)on1O

***

Arrangement B

Density functional theory data (ωB97M-V/def2-TZVPD) for a 2-piece molecular cluster, C3H4N2O3 overall.

Each line ends with the Löwdin charge.
Element x y z (Å)
C 2.384 1.699 0.184  -0.16
C 1.327 -0.479 0.706  0.14
C 2.352 0.263 0.340  -0.22
N 2.284 2.834 0.084  0.19
N 3.660 -0.306 0.039  -0.37
O 3.628 -1.506 -0.219  0.07
O 4.599 0.443 -0.022  0.12
O -1.464 0.075 -0.552  -0.09
H 1.294 -1.604 0.584  0.12
H -1.494 -0.957 -0.568  0.10
H 0.421 0.076 0.968  0.08
H -2.248 0.495 -0.870  0.02

LUMO level = -1.12 eV
total charge = 0
Kohn-Sham gap = 10.1 eV
HOMO energy = -11.243 eV
2S+1 = 1
molecular weight = 116.1 Da
SMILES = C=C(C#N)[N+](=O)[O-].O

***

Going by the energies, arrangement A is most stable and the next is 70.4 kJ/mol up.
~~~
## End of the quantum chemistry results

I feel like this would be better with the Speed Racer theme in the background. Anyway...Kim Jong Il can make storms with his words.

Big deal...I can make the sound of one hand clapping.

Go! Go! Go!

Now That's Just Funny!

So I found this video from N. Korean TV and I just want to say I was with them on the Bush parts, but they lost me when we became a country of murderers.

Haven't they seen "Team America?"

Sunday, July 02, 2006

You are Now Free to Roam the World

I have recently been authorized by the US Dept. of State to freely roam other countries. Ha! Take that Botswana!